4 Reasons Why Younger People Make Great Foster Carers Too

young foster carer 3Did you know only 4% of foster carers are aged between 25 - 34 years?

In fact, the majority of the wonderful foster carer workforce in this country is over 45. Without a doubt, older people bring invaluable life experience and personal stability to the role of a foster carer, but younger people have a lot to offer too, especially to children who are expected to be in foster care for the long-term.

The reason that there are so few 25-34 years old foster carers isn't because they aren't eligible to foster. Sadly, it's because this age group tends to assume they aren't eligible to foster and consequently never apply in the first place. In a separate opinion poll this year, the Fostering Network found that only 1 in 5 people aged 18 - 25 thought they would be accepted as foster carers were they to apply in the next 2 years.

We'd love to change this misconception.

So here are 4 reasons why younger people make great foster carers too:

1. Relating

Younger foster carers may not be able to bring as much life experience to the role, they are often able to better understand some of the modern challenges faced by young people today. From cyber-bullying and Meow Meow to Snapchat and the new way to do long multiplication (anyone?!), younger foster carers may be able to spot trouble more quickly and relate to problems more easily than older carers.

2. In It For The Long-Term

ORCA calculation (ωB97M-V/def2-TZVPD) on C18H22N2O4 in the gas phase.

Results
- structure (SMILES) = CCOc1cc(C(=O)Nc2cccnc2)cc(OCC)c1OCC
- multiplicity = 1
- LUMO level (eV) = 0.6003

Last column: Mulliken charge in e.
Positions of all 46 atoms, in Å:
C 3.355461 4.049328 -0.070518  -1.425
C 2.063325 3.255540 0.047736  -0.425
H 1.486672 3.327718 -0.884125  0.425
H 1.452534 3.643680 0.872729  0.386
O 2.418840 1.908201 0.297804  -0.228
C 1.435613 0.970429 0.431913  0.852
C 0.089516 1.286624 0.363628  -0.556
C -0.895879 0.321470 0.546565  0.169
C -0.510400 -0.984938 0.796111  -0.844
C 0.834922 -1.336996 0.848274  -0.189
C 1.836349 -0.363066 0.669253  0.474
O 3.124847 -0.785283 0.830131  -0.557
C 4.224433 -0.134768 0.212336  -0.342
C 4.148115 -0.147065 -1.309585  -0.982
H 5.046224 0.306772 -1.719250  0.402
H 4.070771 -1.167392 -1.679060  0.281
H 3.284968 0.418421 -1.651809  0.211
H 4.329524 0.887849 0.580556  0.247
H 5.083596 -0.723076 0.549168  0.411
O 1.056908 -2.649512 1.159101  -0.535
C 2.096003 -3.377921 0.523916  -0.189
C 1.908293 -3.448029 -0.987816  -1.044
H 1.940625 -2.450036 -1.419875  0.240
H 0.946272 -3.895338 -1.228157  0.306
H 2.697355 -4.050523 -1.429519  0.364
H 3.075208 -2.959895 0.770386  0.165
H 2.014875 -4.376272 0.962395  0.402
H -1.214124 -1.777536 0.999317  0.467
C -2.306436 0.794152 0.483060  0.510
O -2.599344 1.963564 0.625414  -0.664
N -3.219260 -0.193798 0.226752  -0.057
C -4.602366 -0.094155 0.122276  0.525
C -5.329704 -1.244378 -0.186317  -0.621
C -6.705446 -1.165588 -0.290889  -0.397
C -7.311185 0.064858 -0.082287  -0.320
N -6.630778 1.159043 0.210717  -0.562
C -5.318717 1.092514 0.311838  -0.336
H -4.808837 2.012614 0.551784  0.624
H -8.384014 0.182508 -0.151764  0.361
H -7.292276 -2.039590 -0.528311  0.372
H -4.816283 -2.184897 -0.340071  0.350
H -2.849594 -1.121251 0.069707  0.075
H -0.239851 2.297845 0.192877  0.596
H 3.961558 3.658975 -0.884009  0.294
H 3.923799 3.976011 0.852816  0.314
H 3.127877 5.093171 -0.265181  0.447

Forces on atoms 1 to 6 (eV/Å):
-0.31 -0.33 0.06
0.01 0.42 -0.08
0.00 -0.04 0.14
0.00 -0.08 -0.12
0.03 -0.38 0.10
-0.09 -0.06 -0.01

ORCA calculation (ωB97M-V/def2-TZVPD) on C4H7N3 in the gas phase in a non-equilibrium geometry.

Results
- structure (SMILES) = [H]/N=C/C[C@H](N)C#N
- multiplicity = 1
- LUMO level (eV) = 0.8190

Last column: Mulliken charge in e.
Positions of all 14 atoms, in Å:
C 0.772066 1.311893 0.697457  0.162
C -0.380927 -0.017352 -1.676266  -0.102
C -0.793199 -0.383152 -0.280958  -0.618
C 0.475588 -0.101176 0.774197  0.105
N 1.070766 2.425862 0.837676  -0.487
N 0.754466 -0.317046 -2.118519  -0.515
N 0.148655 -0.564443 2.104935  -0.623
H -1.263849 0.229486 -2.449525  0.277
H -1.792016 0.055191 -0.125057  0.314
H -0.933538 -1.508198 -0.202056  0.345
H 1.348210 -0.480681 0.409963  0.326
H 0.754027 -0.223454 -3.130138  0.257
H 0.664463 -0.080928 2.823737  0.301
H -0.824712 -0.346001 2.334553  0.259

Forces on atoms 1 to 6 (eV/Å):
0.40 2.94 0.99
-2.37 -1.14 -1.90
1.59 -1.01 1.05

Long-term fostering is being considered more and more as a viable permanency option for children. For a child that comes into care at 3 years old that means they need to live with their foster family for at least 15 years. Whilst many people do a great job continuing to foster children into their 60’s, they’d probably be the first to agree that it’s a lot easier managing those difficult teenage years as a 40 something!

3. Ready Made Peer Support

Many people choose to start a family between the ages of 25 – 35, and people who foster younger (whether they have children of their own or not) tend to already have a wider group of friends with children still living at home. Children are children, whether fostered or your own, and being around other people who are going similar experiences as you are can be an immense source of support and advice, not to mention a ready-made social network for you and the kids.

4. Great Learners

25 – 35 is a great time for learning and developing your craft, no matter what it is that you do. Younger people are generally very receptive to training and change, interested in taking on new ideas and learning new skills, all of which you have to do as a foster carer.


So if you are between the ages of 25 - 34 and think you would like to foster then please, don't count yourself out, don't assume anything, just find out more about fostering today because younger people make great foster carers too!

If you are between the age of 25 and 34 and are interested in finding out more about becoming a foster carer Family Fostercare would love to hear from you.